- - -
Below is C18H37O16Ti as an isolated structure in a non-equilibrium geometry, with properties calculated with wB97M-V/def2-TZVPD.

Results
Highest occupied orbital energy (alpha / beta) (eV): -3.2 / -7.4
Spin multiplicity: 4
Molecular weight (g/mol): 557.3
Total charge: 0
Kohn-Sham gap (alpha / beta) (Eh): 0.1385 / 0.2907

XYZ file:
```
72
Properties=species:S:1:pos:R:3:forces:R:3:mulliken_charge:R:1
Ti 0.341241 -0.454716 0.217646 -0.0169 -0.1579 0.0856 0.785
C -4.031739 -0.034973 1.236652 -0.0606 -0.2624 -0.4775 -1.331
C -2.995571 -1.145455 1.430833 0.8344 0.3509 1.0682 0.607
C -3.623323 -2.522543 1.237185 -0.1434 -0.4135 -0.2145 -1.395
O -1.853152 -0.920468 0.709646 0.6466 -0.0283 -0.5669 -0.072
H -3.655456 0.979456 1.384787 0.3460 -0.1564 0.3441 0.176
H -4.868033 -0.206380 1.918313 -0.2366 0.1517 -0.2613 0.385
H -4.333395 -0.045631 0.181996 -0.3897 -0.1473 0.1112 0.260
H -2.774870 -1.151366 2.524990 0.0979 0.2257 0.2010 -0.147
H -2.976251 -3.353565 1.534780 0.4580 0.2889 -0.2202 0.183
H -3.883290 -2.663011 0.182624 -0.2276 -0.1064 0.0849 0.276
H -4.485474 -2.678338 1.894296 -0.2910 0.3189 -0.3143 0.412
C -0.243395 -1.249493 4.149621 -0.5945 0.1707 0.3821 -0.163
O 1.132993 -0.968641 4.424292 -0.6234 0.1569 0.4014 -0.403
C 1.931879 -0.978961 3.383709 1.1700 -0.1091 0.8263 0.817
O 1.645491 -1.048249 2.226587 -0.7003 0.1208 -1.0993 -0.394
O 3.182325 -0.930338 3.860442 -0.1074 -0.0860 0.4999 -0.403
C 4.224605 -0.732551 2.938125 0.5559 0.5332 -1.4045 -0.592
H -0.333317 -2.302686 3.895011 -0.2161 0.0984 -0.3042 0.233
H -0.679076 -0.573596 3.417580 0.3034 -0.3316 -0.5067 -0.245
H -0.817120 -1.054219 5.055316 0.4137 -0.1658 0.2373 0.348
H 4.930657 0.003192 3.322521 -0.2170 -0.0110 0.2907 0.288
H 3.818106 -0.358677 1.992696 0.0577 -0.0139 0.1081 0.156
H 4.799234 -1.627253 2.688442 -0.3571 -0.2687 0.3790 0.278
C 0.200642 -3.937456 1.503367 -0.2374 0.9262 -0.4510 -0.108
O 0.768764 -4.470062 0.302529 -0.0520 -1.4719 0.3732 -0.411
C 1.176900 -3.657484 -0.634773 0.0262 1.0657 0.0387 0.729
O 1.197746 -2.450008 -0.570152 -0.2496 0.6195 0.0164 -0.402
O 1.585779 -4.335024 -1.683984 0.2332 -1.0725 0.0360 -0.402
C 2.267286 -3.647556 -2.727904 -0.7880 0.1897 -0.4245 -0.518
H 0.970494 -3.763701 2.252775 0.1173 -0.0363 -0.1088 0.221
H -0.538905 -4.637064 1.878665 0.0701 -0.1998 -0.1742 0.363
H -0.282845 -2.995390 1.225436 -0.1261 -0.0026 0.4637 -0.182
H 2.838768 -2.801926 -2.354539 0.2043 -0.1802 0.0202 0.298
H 1.519987 -3.275387 -3.435730 0.0615 0.1447 0.0776 0.085
H 2.828718 -4.419605 -3.245045 0.3580 0.1834 0.1509 0.299
C -2.354012 -1.251010 -2.440239 -0.1291 -0.8535 0.7255 -0.464
O -1.366427 -1.290262 -3.470485 -0.1617 -0.0112 -0.7803 -0.448
C -0.258441 -0.586768 -3.263818 -0.7306 -0.9979 0.0800 0.568
O 0.041297 -0.122598 -2.209862 0.5603 0.8942 1.2461 -0.155
O 0.512309 -0.498766 -4.327367 0.5296 0.1077 -0.3424 -0.298
C 0.138373 -1.174643 -5.515025 -0.1238 -0.2579 -0.9909 -0.753
H -2.228294 -2.100304 -1.762983 0.3299 0.1755 0.0218 0.166
H -3.319509 -1.418854 -2.912354 0.0131 0.5339 -0.1631 0.366
H -2.251140 -0.357276 -1.830593 -0.3057 0.0203 -0.1314 0.025
H 0.399405 -2.235152 -5.505913 -0.0823 0.0067 0.4120 0.250
H 0.703327 -0.744116 -6.340273 0.0597 0.2668 0.2285 0.271
H -0.922160 -1.074193 -5.732896 0.0207 0.0301 0.0981 0.341
C -1.644653 2.468486 -1.267053 -0.7188 -0.5952 -0.4957 -0.633
O -1.442163 3.886473 -1.325570 -0.2904 -0.3767 0.8010 -0.412
C -0.232819 4.269023 -1.666398 0.7621 0.6827 -0.6797 0.850
O 0.662616 3.597442 -2.111297 -0.0935 -0.3362 0.2099 -0.534
O -0.147132 5.597080 -1.502781 -0.4705 0.1999 0.4891 -0.368
C 1.042626 6.189432 -1.991413 0.5693 -0.3889 -0.7624 -0.564
H -2.024757 2.143645 -2.236724 0.2655 -0.0602 -0.1141 0.473
H -2.439459 2.229862 -0.562015 0.0882 0.4508 0.2278 0.129
H -0.762150 1.889556 -1.010208 0.2280 0.3193 -0.0703 0.206
H 1.928289 5.652659 -1.652640 -0.0583 0.0571 0.2222 0.201
H 1.090884 7.232914 -1.703142 -0.3084 -0.0271 0.2374 0.242
H 1.047046 6.113286 -3.080901 0.0216 0.1359 -0.0125 0.297
- - -

Could you write out everything further above exactly?

Below is C18H37O16Ti as an isolated structure in a non-equilibrium geometry, with properties calculated with wB97M-V/def2-TZVPD.

Results
Highest occupied orbital energy (alpha / beta) (eV): -3.2 / -7.4
Spin multiplicity: 4
Molecular weight (g/mol): 557.3
Total charge: 0
Kohn-Sham gap (alpha / beta) (Eh): 0.1385 / 0.2907

XYZ file:
```
72
Properties=species:S:1:pos:R:3:forces:R:3:mulliken_charge:R:1
Ti 0.341241 -0.454716 0.217646 -0.0169 -0.1579 0.0856 0.785
C -4.031739 -0.034973 1.236652 -0.0606 -0.2624 -0.4775 -1.331
C -2.995571 -1.145455 1.430833 0.8344 0.3509 1.0682 0.607
C -3.623323 -2.522543 1.237185 -0.1434 -0.4135 -0.2145 -1.395
O -1.853152 -0.920468 0.709646 0.6466 -0.0283 -0.5669 -0.072
H -3.655456 0.979456 1.384787 0.3460 -0.1564 0.3441 0.176
H -4.868033 -0.206380 1.918313 -0.2366 0.1517 -0.2613 0.385
H -4.333395 -0.045631 0.181996 -0.3897 -0.1473 0.1112 0.260
H -2.774870 -1.151366 2.524990 0.0979 0.2257 0.2010 -0.147
H -2.976251 -3.353565 1.534780 0.4580 0.2889 -0.2202 0.183
H -3.883290 -2.663011 0.182624 -0.2276 -0.1064 0.0849 0.276
H -4.485474 -2.678338 1.894296 -0.2910 0.3189 -0.3143 0.412
C -0.243395 -1.249493 4.149621 -0.5945 0.1707 0.3821 -0.163
O 1.132993 -0.968641 4.424292 -0.6234 0.1569 0.4014 -0.403
C 1.931879 -0.978961 3.383709 1.1700 -0.1091 0.8263 0.817
O 1.645491 -1.048249 2.226587 -0.7003 0.1208 -1.0993 -0.394
O 3.182325 -0.930338 3.860442 -0.1074 -0.0860 0.4999 -0.403
C 4.224605 -0.732551 2.938125 0.5559 0.5332 -1.4045 -0.592
H -0.333317 -2.302686 3.895011 -0.2161 0.0984 -0.3042 0.233
H -0.679076 -0.573596 3.417580 0.3034 -0.3316 -0.5067 -0.245
H -0.817120 -1.054219 5.055316 0.4137 -0.1658 0.2373 0.348
H 4.930657 0.003192 3.322521 -0.2170 -0.0110 0.2907 0.288
H 3.818106 -0.358677 1.992696 0.0577 -0.0139 0.1081 0.156
H 4.799234 -1.627253 2.688442 -0.3571 -0.2687 0.3790 0.278
C 0.200642 -3.937456 1.503367 -0.2374 0.9262 -0.4510 -0.108
O 0.768764 -4.470062 0.302529 -0.0520 -1.4719 0.3732 -0.411
C 1.176900 -3.657484 -0.634773 0.0262 1.0657 0.0387 0.729
O 1.197746 -2.450008 -0.570152 -0.2496 0.6195 0.0164 -0.402
O 1.585779 -4.335024 -1.683984 0.2332 -1.0725 0.0360 -0.402
C 2.267286 -3.647556 -2.727904 -0.7880 0.1897 -0.4245 -0.518
H 0.970494 -3.763701 2.252775 0.1173 -0.0363 -0.1088 0.221
H -0.538905 -4.637064 1.878665 0.0701 -0.1998 -0.1742 0.363
H -0.282845 -2.995390 1.225436 -0.1261 -0.0026 0.4637 -0.182
H 2.838768 -2.801926 -2.354539 0.2043 -0.1802 0.0202 0.298
H 1.519987 -3.275387 -3.435730 0.0615 0.1447 0.0776 0.085
H 2.828718 -4.419605 -3.245045 0.3580 0.1834 0.1509 0.299
C -2.354012 -1.251010 -2.440239 -0.1291 -0.8535 0.7255 -0.464
O -1.366427 -1.290262 -3.470485 -0.1617 -0.0112 -0.7803 -0.448
C -0.258441 -0.586768 -3.263818 -0.7306 -0.9979 0.0800 0.568
O 0.041297 -0.122598 -2.209862 0.5603 0.8942 1.2461 -0.155
O 0.512309 -0.498766 -4.327367 0.5296 0.1077 -0.3424 -0.298
C 0.138373 -1.174643 -5.515025 -0.1238 -0.2579 -0.9909 -0.753
H -2.228294 -2.100304 -1.762983 0.3299 0.1755 0.0218 0.166
H -3.319509 -1.418854 -2.912354 0.0131 0.5339 -0.1631 0.366
H -2.251140 -0.357276 -1.830593 -0.3057 0.0203 -0.1314 0.025
H 0.399405 -2.235152 -5.505913 -0.0823 0.0067 0.4120 0.250
H 0.703327 -0.744116 -6.340273 0.0597 0.2668 0.2285 0.271
H -0.922160 -1.074193 -5.732896 0.0207 0.0301 0.0981 0.341
C -1.644653 2.468486 -1.267053 -0.7188 -0.5952 -0.4957 -0.633
O -1.442163 3.886473 -1.325570 -0.2904 -0.3767 0.8010 -0.412
C -0.232819 4.269023 -1.666398 0.7621 0.6827 -0.6797 0.850
O 0.662616 3.597442 -2.111297 -0.0935 -0.3362 0.2099 -0.534
O -0.147132 5.597080 -1.502781 -0.4705 0.1999 0.4891 -0.368
C 1.042626 6.189432 -1.991413 0.5693 -0.3889 -0.7624 -0.564
H -2.024757 2.143645 -2.236724 0.2655 -0.0602 -0.1141 0.473
H -2.439459 2.229862 -0.562015 0.0882 0.4508 0.2278 0.129
H -0.762150 1.889556 -1.010208 0.2280 0.3193 -0.0703 0.206
H 1.928289 5.652659 -1.652640 -0.0583 0.0571 0.2222 0.201
H 1.090884 7.232914 -1.703142 -0.3084 -0.0271 0.2374 0.242
H 1.047046 6.113286 -3.080901 0.0216 0.1359 -0.0125 0.297